Making the West Side uses local history to facilitate conversations about neighborhood change on Chicago’s West Side. Led by Jennifer Scott at the University of Illinois at Chicago’s Jane Addams Hull-House Museum, the project brings diverse neighborhood stakeholders together to explore the past, present, and future of this changing—but sometimes overlooked—part of Chicago.

Jane Addams Hull-House Museum is an ideal venue for this important conversation. It occupies two of the original historic Hull-House Settlement buildings. The Hull-House Settlement was founded in 1889 by social reformers Jane Addams and Ellen Gates Starr. It served as the headquarters of a community of primarily women who lived and worked together to create educational, social, and cultural opportunity for the neighborhood’s predominantly low-income immigrant population. “Hull-House was once a powerful neighborhood force that transformed the surrounding community and sparked a national movement,” Scott says.
The Hull-House Settlement was closed in 1963, when the campus of the University of Illinois at Chicago on which the museum stands expanded into a downtown location on the Near West Side as a part of “urban renewal” in Chicago. Development on and around the campus, including new expressways and the destruction of public housing, profoundly changed neighborhood life. “These changes displaced a number of communities,” Scott says—leveling once vibrant areas and designating them as “blight.” Repercussions are still felt today.
Through a variety of programs, Making the West Side explores the first and final decades of Hull-House Settlement and facilitates conversations about neighborhood change among residents, activists, and scholars. Programs range from days during which adult and youth community members share memories, images and objects in storytelling, oral history and mapping sessions, to public forums featuring historians, journalists, and public policy and social services professionals engaged in active audience participation.
“History gives people a longer view of social patterns and policies that have impacted their neighborhoods,” Scott observes. “It becomes a useful tool in helping people to explore the systematic and root causes of contemporary social issues. Learning about the development of neighborhoods and the histories of urban planning and its missteps helps to inform residents’ of their current options and strategies for change.”
Partnerships—central to Making the West Side’s programming—were developed through monthly meetings with a range of cultural institutions and social services organizations across the West Side.
“The monthly meetings became mini-community conversations, where partners were introduced to one another and to different West Side neighborhoods,” Scott explains. “In these meetings, they talked about issues that were of major concern in their neighborhoods: displacement and disinvestment, the history and resurgence of racist housing policies, and equitable access to public health, employment and education.”
West Side/South Side: Bridging the Divide
One especially memorable panel conversation focused on divisions between Chicago’s South and West Sides. “For decades, the two predominantly black areas often have been separated by politics, culture, history, and convention,” the event website notes—inviting people for a “lively conversation” to “assess this divide and find ways to bridge it.” The moderated panel featured two West Siders and two South Siders, including South Side journalist Natalie Moore.

The panel discussion explored issues that both divide and unite South and West Side communities. Scott notes that participants ultimately agreed in this session that they want to coalesce around shared concerns. Moore dedicated her column in the Chicago Sun-Times to the conversation. “We have more in common than we think — economic devastation, city neglect, disinvestment, and battles over real estate through the decades,” Moore writes.
But as a Chicagoan from the South Side and a journalist, she concedes that she and other residents have been complicit. In “I Want To Hear Chicago’s West Side Stories,” she calls on Chicagoans to “do better”:
~~~
Compound: RbNpO3
Source: the Materials Project
Functional: GGA-PBE
Structure: optimized geometry

Lattice parameters (Å, degrees): 4.331 4.331 4.331 90.00 90.00 90.00
Fractional positions:
Rb (0.500, 0.500, 0.500)
Np (0.000, 0.000, 0.000)
O (0.000, 0.000, 0.500)
O (0.000, 0.500, 0.000)
O (0.500, 0.000, 0.000)

Calculated values
E_tot: -8.4198 eV/atom
ΔE_f: -3.08 eV per atom

=====

Compound: Rb2Np2O5
Source: the Materials Project
Functional: GGA-PBE
Structure: optimized geometry

Lattice parameters (Å, degrees): 4.355 4.355 8.939 90.00 90.00 90.00
Fractional positions:
Rb (0.000, 0.000, 0.000)
Rb (0.000, 0.000, 0.500)
Np (0.500, 0.500, 0.259)
Np (0.500, 0.500, 0.741)
O (0.500, 0.000, 0.236)
O (0.500, 0.000, 0.764)
O (0.500, 0.500, 0.500)
O (0.000, 0.500, 0.236)
O (0.000, 0.500, 0.764)

Calculated values
E_tot: -8.3066 eV/atom
ΔE_f: -2.84 eV per atom

=====

Compound: NpRuO3
Source: the Materials Project
Functional: GGA-PBE
Structure: optimized geometry

Lattice parameters (Å, degrees): 3.963 3.963 3.963 90.00 90.00 90.00
Fractional positions:
Np (0.000, 0.000, 0.000)
Ru (0.500, 0.500, 0.500)
O (0.500, 0.500, 0.000)
O (0.500, 0.000, 0.500)
O (0.000, 0.500, 0.500)

Calculated values
E_tot: -8.8618 eV/atom
ΔE_f: -1.86 eV per atom

=====

Compound: Np2SO10
Source: the Materials Project
Functional: GGA-PBE
Structure: optimized geometry

Lattice parameters (Å, degrees): 14.303 5.509 14.608 90.00 98.46 90.00
Fractional positions:
Np (0.344, 0.813, 0.658)
Np (0.656, 0.813, 0.842)
Np (0.656, 0.187, 0.342)
Np (0.344, 0.187, 0.158)
Np (0.137, 0.320, 0.670)
Np (0.863, 0.320, 0.830)
Np (0.863, 0.680, 0.330)
Np (0.137, 0.680, 0.170)
S (0.250, 0.626, 0.864)
S (0.750, 0.626, 0.636)
S (0.750, 0.374, 0.136)
S (0.250, 0.374, 0.364)
O (0.169, 0.779, 0.870)
O (0.831, 0.779, 0.630)
O (0.831, 0.221, 0.130)
O (0.169, 0.221, 0.370)
O (0.300, 0.524, 0.947)
O (0.700, 0.524, 0.553)
O (0.700, 0.476, 0.053)
O (0.300, 0.476, 0.447)
O (0.317, 0.744, 0.806)
O (0.683, 0.744, 0.694)
O (0.683, 0.256, 0.194)
O (0.317, 0.256, 0.306)
O (0.211, 0.391, 0.801)
O (0.789, 0.391, 0.699)
O (0.789, 0.609, 0.199)
O (0.211, 0.609, 0.301)
O (0.450, 0.642, 0.644)
O (0.550, 0.642, 0.856)
O (0.550, 0.358, 0.356)
O (0.450, 0.358, 0.144)
O (0.064, 0.241, 0.562)
O (0.936, 0.241, 0.938)
O (0.936, 0.759, 0.438)
O (0.064, 0.759, 0.062)
O (0.262, 0.549, 0.635)
O (0.738, 0.549, 0.865)
O (0.738, 0.451, 0.365)
O (0.262, 0.451, 0.135)
O (0.409, 0.090, 0.681)
O (0.591, 0.090, 0.819)
O (0.591, 0.910, 0.319)
O (0.409, 0.910, 0.181)
O (0.071, 0.592, 0.683)
O (0.929, 0.592, 0.817)
O (0.929, 0.408, 0.317)
O (0.071, 0.408, 0.183)
O (0.216, 0.040, 0.659)
O (0.784, 0.040, 0.841)
O (0.784, 0.960, 0.341)
O (0.216, 0.960, 0.159)

Calculated values
E_tot: -8.0293 eV/atom
ΔE_f: -2.44 eV per atom
Polymorph energy (0 for the lowest one): 103 meV/atom

=====

What is the E_tot in the second record? -8.3066 eV/atom
~~~
“One of the toxic effects of segregation in our region is the inability to experience other neighborhoods and as a result falling back on stereotypes... As the borders of the West Side fade into the ever-encroaching West Loop, the stories and history of West Siders are at risk of being erased and forgotten.”
Building on this program, Making the West Side organized follow up programming focusing on working together around school closures: a pressing issue with which the West and South Sides struggle.

The Making the West Side program is ongoing at Jane Addams Hull-House Museum. In addition to monthly conversations, Hull-House launched two concurrent exhibitions that focus on the West Side: Claiming Space: Creative Grounds and Freedom Summer School—a collaborative exhibition with artists, educators and students that explores the “transformation of public school space amidst the backdrop of depopulation, divestment and school closures on Chicago’s West Side”; and The Best Side: The Art and Soul of Jackie Hetherington—an exhibition that features works of a local, West Side artist who co-founded Art and Soul on the West Side, a unique neighborhood center, just seven months after the 1968 uprising.
For more information on Making the West Side, please visit the Jane Addams Hull-House Museum website.